Source:
........
1.
! CuTe PBE-GGA relaxed; values from VASP
! - Volume: 23.01 Å³/atom
! - Mass density: 6.90 g/cm³
! - E: -3.69 eV per atom
&SYSTEM
  ibrav = 0, nat = 4, ntyp = 2
/
ATOMIC_SPECIES
Cu 63.55 Cu.upf
Te 127.60 Te.upf
CELL_PARAMETERS angstrom
-1.157 -1.858 -2.329
3.732 -0.473 -1.476
0.905 -5.740 4.130
ATOMIC_POSITIONS crystal
Cu 0.500 0.000 0.541
Te 0.000 0.000 0.227
Te 0.500 0.500 0.773
Cu 0.000 0.500 0.459

***

2.
! Ho11Te16ClO48 PBE-GGA relaxed; values from VASP
! - Volume: 15.68 Å³/atom
! - Mass density: 6.49 g/cm³
! - E: -6.52 eV per atom
&SYSTEM
  ibrav = 0, nat = 76, ntyp = 4
/
ATOMIC_SPECIES
O 16.00 O.upf
Ho 164.93 Ho.upf
Te 127.60 Te.upf
Cl 35.45 Cl.upf
CELL_PARAMETERS angstrom
5.567 0.000 0.000
-2.044 11.815 0.000
-1.911 -3.831 18.124
ATOMIC_POSITIONS crystal
O 0.554 0.196 0.400
Ho 0.869 0.430 0.271
O 0.529 0.268 0.566
O 0.659 0.199 0.709
O 0.556 0.397 0.344
O 0.691 0.606 0.319
O 0.872 0.925 0.648
Te 0.794 0.994 0.339
O 0.901 0.949 0.428
Cl 0.500 0.500 0.000
Te 0.069 0.448 0.890
O 0.890 0.688 0.789
O 0.600 0.257 0.221
Ho 0.917 0.114 0.814
Te 0.510 0.555 0.392
O 0.395 0.040 0.213
O 0.709 0.505 0.176
Te 0.229 0.326 0.119
O 0.471 0.732 0.434
Te 0.206 0.006 0.661
O 0.605 0.960 0.787
O 0.980 0.769 0.512
O 0.090 0.923 0.775
Te 0.490 0.445 0.608
O 0.147 0.291 0.854
O 0.341 0.801 0.291
O 0.797 0.447 0.817
O 0.910 0.077 0.225
O 0.444 0.603 0.656
O 0.816 0.838 0.921
O 0.603 0.065 0.563
O 0.201 0.086 0.912
O 0.998 0.691 0.649
O 0.150 0.142 0.726
O 0.378 0.782 0.140
Te 0.647 0.114 0.165
O 0.002 0.309 0.351
O 0.397 0.935 0.437
Ho 0.557 0.681 0.222
O 0.698 0.081 0.958
O 0.291 0.495 0.824
O 0.128 0.075 0.352
O 0.850 0.858 0.274
Te 0.835 0.317 0.436
Te 0.492 0.805 0.050
Ho 0.283 0.104 0.478
Te 0.165 0.683 0.564
Te 0.353 0.886 0.835
Ho 0.281 0.215 0.294
Ho 0.083 0.886 0.186
Te 0.210 0.791 0.382
O 0.099 0.051 0.572
Ho 0.131 0.570 0.729
Ho 0.443 0.319 0.778
Ho 0.719 0.785 0.706
Te 0.931 0.552 0.110
Ho 0.000 0.000 0.000
O 0.184 0.162 0.079
O 0.070 0.648 0.928
O 0.309 0.394 0.681
O 0.302 0.919 0.042
Te 0.508 0.195 0.950
O 0.799 0.914 0.088
Te 0.771 0.674 0.881
O 0.020 0.231 0.488
O 0.110 0.312 0.211
O 0.446 0.804 0.600
O 0.203 0.553 0.183
Te 0.790 0.209 0.618
Ho 0.717 0.896 0.522
O 0.813 0.454 0.654
O 0.930 0.352 0.072
O 0.622 0.218 0.860
O 0.400 0.743 0.779
O 0.187 0.546 0.346
O 0.853 0.709 0.146

***

3.
! ZrC PBE-GGA relaxed; values from VASP
! - Energy relative to the lowest polymorph listed for this composition: 168.5 meV per atom
! - Volume: 13.17 Å³/atom
! - Mass density: 6.51 g/cm³
&SYSTEM
  ibrav = 0, nat = 4, ntyp = 2
/
ATOMIC_SPECIES
Zr 91.22 Zr.upf
C 12.01 C.upf
CELL_PARAMETERS angstrom
1.696 -2.937 0.000
1.696 2.937 0.000
0.000 0.000 5.290
ATOMIC_POSITIONS crystal
Zr 0.667 0.333 0.750
Zr 0.333 0.667 0.250
C 0.000 0.000 0.500
C 0.000 0.000 0.000

----------

The following is a GGA+U calculation of Li7Mn4CoO12 after structural relaxation, from the Materials Project.

The structure in POSCAR format:
```
Li7Mn4CoO12
1.0
5.170 0.046 2.723
-0.361 7.196 -2.396
0.149 -0.209 5.924
Mn Li O Co
4 7 12 1
direct
0.504 0.993 0.496 Mn
0.665 0.340 0.339 Mn
0.001 0.993 0.994 Mn
0.163 0.340 0.838 Mn
........

Activity:
Work out how many lines earlier on have the word "CuTe" in them; a number is enough, please.

Worked solution:
1